Dams of Craigie Energy Storage Project

-- begin --
Entry 1:
-- stop --

What is a Battery Energy Storage System (BESS) and why do we need it?

Battery Energy Storage Systems (BESS) store excess electricity until sold into the National Grid to meet industrial or domestic electricity demands. Our BESS assets help level out expensive peaks and troughs of electricity pricing caused by supply and demand imbalance.

Lower 48 Energy Dams of Craigie BESS aims to be an important project in an area of strategic importance for energy storage. Lower 48 Energy hopes to combine a strategic scale Battery Energy Storage System (BESS) and a Solar PV Array (Solar Array) to the North East of Kingseat, Aberdeenshire.

We are proposing this project to help meet the increasingly critical need to stabilise the UK electricity grid.  As older, non-renewable fuels are being decommissioned, renewable energy sources are being connected to the UK’s grid instead. Energy storage projects like this are vital to maximise on the intermittently produced energy from wind and solar farms.

L48 Communities | Dams of Craigie Energy Storage Project | Renewable Energy

Renewable Energy

The energy system is the backbone of modern society. To deliver on the transition to net zero whilst continuing to deliver for consumers, a whole energy system approach and strategic change is required across all fuels, renewable energy, and this includes Battery Energy Storage Systems (BESS).

Renewable energy generation does not always match periods of high electrical demand and its generation is intermittent. We can only rely on its generation when there is wind or direct sunshine. Energy storage assets are required by the National Grid so that it can counteract the constraints & limitations that green, renewable generation can have on the UK’s grid.

Battery Energy Storage Systems allow the UK to increase the proportion of low carbon and zero carbon generation used to power the electricity network. A solar array on the South facing ground North of the B979 road would enable Lower 48 Energy to economically incorporate renewable generation directly into the Scottish electrical networks.

Projects such as Dams of Craigie are critical in helping ensure that Scotland meets its objectives of becoming a net zero greenhouse gas emitting nation by 2045.

What we do

Lower 48 Energy BESS is a UK based business that operates across the Battery Energy Storage Systems (BESS) landscape.

Our engineers study the entire National Grid and the local Distribution Network Operators grids to identify viable and advantageous locations to build battery assets. Once we have identified a location, we then work with our planning teams to establish the exact location of the sites that would be sympathetic to building out an asset.

Our inhouse team of rural surveyors then approach prospective landowners and explain a proposition. Lower 48 Energy then apply to the National Grid and the Distribution Network Operators for a grid connection. If granted, we then apply for Planning Permission to build the asset. The construction of a typical Battery Energy Storage System will take about 9 months to build and commission. Once commissioned the facility will be ‘operated’ remotely from a dedicated office that monitors the facility 24/7/365, helping to keep the UK’s lights on.

Our Process

Early Development

The project is currently at this stage. A Grid Connection Offer from National Grid has been secured and a planning consultant has been engaged to support early site investigation work.

Pre Planning

We aim to begin engagement and consultation with stakeholders in late 2023 and early 2024.

Consent Application

We aim to begin engagement and consultation with stakeholders in late 2023 and early 2024.


If approval is given by the Scottish Ministers, we are likely to see consent being granted in mid to late 2025.

In Construction

If it goes ahead, the construction of this project is likely to start towards the back end of the decade.


If it goes ahead, Lower 48 energy will manage the financial operation of the site and oversee the maintenance, insurance and compliance.